Input >
'''
Computed powder diffractogram
Compound: BaCaNi4O8
Radiation: Cu Ka
Structure: a structure optimized by DFT (GGA+U)
Intensities are scaled so that the largest is 100.

Main lines, low angle first (2θ = 15–90°):
(hkl)  two_theta  I_rel
1 0 2  29.74  100
1 1 0  33.47  78
2 -1 1  35.41  26
2 0 2  45.37  30
3 -1 2  57.54  29
2 -1 4  58.10  33
3 0 0  59.83  23
3 0 4  78.65  14

Atomic structure:
```
BaCaNi4O8
1.0
5.355 0.000 0.000
-2.677 4.637 0.000
0.000 0.000 7.888
Ba Ca Ni O
1 1 4 8
direct
0.000 0.000 0.000
0.000 0.000 0.500
0.333 0.667 0.233
0.333 0.667 0.767
0.667 0.333 0.233
0.667 0.333 0.767
0.000 0.335 0.304
0.000 0.665 0.696
0.333 0.667 0.000
0.335 0.000 0.304
0.335 0.335 0.696
0.665 0.000 0.696
0.665 0.665 0.304
0.667 0.333 0.000
```

----------

# 1
For Y3HfPb2C2, a DFT-relaxed cell (PBE, OQMD) gives the simulated X-ray diffraction stick pattern in this record (Cu Kα).

Crystal structure
```
Y3HfPb2C2
1.0
3.560 0.000 0.000
-1.780 3.083 0.000
0.000 0.000 15.816
Y Hf Pb C
3 1 2 2
Direct
0.000 0.000 0.000
0.000 0.000 0.339
0.667 0.333 0.830
0.667 0.333 0.499
0.000 0.000 0.657
0.667 0.333 0.171
0.333 0.667 0.433
0.333 0.667 0.914
```

Most intense lines, 2θ = 10–90°, in order of rising 2θ:
2θ = 29.0°, I = 23
2θ = 33.7°, I = 100
2θ = 34.0°, I = 20
2θ = 51.3°, I = 21
2θ = 60.7°, I = 17
2θ = 63.0°, I = 20

# 2
For Hf2Zr4C3S3, a DFT-relaxed cell (PBE, OQMD) gives the simulated X-ray diffraction stick pattern in this record (Cu Kα).

Crystal structure
```
Hf2Zr4C3S3
1.0
5.120 -2.956 0.000
5.120 2.956 0.000
-3.413 0.000 12.188
Hf Zr C S
4 8 6 6
Direct
0.033 0.866 0.599
0.134 0.967 0.901
0.866 0.033 0.099
0.967 0.134 0.401
0.200 0.368 0.101
0.300 0.466 0.399
0.368 0.200 0.601
0.466 0.300 0.899
0.534 0.700 0.101
0.632 0.800 0.399
0.700 0.534 0.601
0.800 0.632 0.899
0.000 0.500 0.500
0.163 0.673 0.000
0.327 0.837 0.500
0.500 0.000 0.000
0.673 0.163 0.500
0.837 0.327 0.000
0.084 0.244 0.750
0.244 0.084 0.250
0.411 0.589 0.750
0.589 0.411 0.250
0.756 0.916 0.750
0.916 0.756 0.250
```

Most intense lines, 2θ = 10–90°, in order of rising 2θ:
2θ = 29.3°, I = 14
2θ = 30.2°, I = 28
2θ = 31.1°, I = 29
2θ = 37.6°, I = 100
2θ = 53.7°, I = 27
2θ = 67.4°, I = 17

# 3
For Hf4Sc2Sb3C3, a DFT-relaxed cell (PBE, OQMD) gives the simulated X-ray diffraction stick pattern in this record (Cu Kα).

Crystal structure
```
Hf4Sc2Sb3C3
1.0
5.094 -2.941 0.000
5.094 2.941 0.000
-3.397 0.000 14.091
Hf Sc Sb C
8 4 6 6
Direct
0.023 0.199 0.084
0.143 0.305 0.416
0.199 0.023 0.584
0.305 0.143 0.916
0.695 0.857 0.084
0.801 0.977 0.416
0.857 0.695 0.584
0.977 0.801 0.916
0.366 0.529 0.087
0.471 0.634 0.413
0.529 0.366 0.587
0.634 0.471 0.913
0.081 0.919 0.250
0.250 0.415 0.749
0.415 0.250 0.249
0.585 0.750 0.751
0.750 0.585 0.251
0.919 0.081 0.750
0.000 0.500 0.000
0.158 0.671 0.500
0.329 0.842 0.000
0.500 0.000 0.500
0.671 0.158 0.000
0.842 0.329 0.500
```

Most intense lines, 2θ = 10–90°, in order of rising 2θ:
2θ = 30.4°, I = 23
2θ = 36.0°, I = 100
2θ = 38.3°, I = 19
2θ = 54.0°, I = 22
2θ = 66.6°, I = 16
2θ = 68.1°, I = 20

# 4
For Hf2Ta4Sb3C3, a DFT-relaxed cell (PBE, OQMD) gives the simulated X-ray diffraction stick pattern in this record (Cu Kα).

Crystal structure
```
Hf2Ta4Sb3C3
1.0
5.103 -2.952 0.000
5.103 2.952 0.000
-3.398 0.000 13.104
Hf Ta Sb C
4 8 6 6
Direct
0.030 0.865 0.591
0.135 0.970 0.909
0.865 0.030 0.091
0.970 0.135 0.409
0.194 0.358 0.081
0.304 0.475 0.419
0.358 0.194 0.581
0.475 0.304 0.919
0.525 0.696 0.081
0.642 0.806 0.419
0.696 0.525 0.581
0.806 0.642 0.919
0.084 0.262 0.750
0.262 0.084 0.250
0.429 0.571 0.750
0.571 0.429 0.250
0.738 0.916 0.750
0.916 0.738 0.250
0.000 0.500 0.500
0.167 0.667 0.000
0.333 0.833 0.500
0.500 0.000 0.000
0.667 0.167 0.500
0.833 0.333 0.000
```

Most intense lines, 2θ = 10–90°, in order of rising 2θ:
2θ = 30.3°, I = 25
2θ = 36.8°, I = 100
2θ = 41.3°, I = 15
2θ = 52.1°, I = 13
2θ = 53.8°, I = 23
2θ = 72.4°, I = 13

# 5
'''
Activity >
Your job: echo the lines earlier on from the one with "0.916 0.756" to the one with "66.6°," verbatim.
Here it is >
0.916 0.756 0.250
```

Most intense lines, 2θ = 10–90°, in order of rising 2θ:
2θ = 29.3°, I = 14
2θ = 30.2°, I = 28
2θ = 31.1°, I = 29
2θ = 37.6°, I = 100
2θ = 53.7°, I = 27
2θ = 67.4°, I = 17

# 3
For Hf4Sc2Sb3C3, a DFT-relaxed cell (PBE, OQMD) gives the simulated X-ray diffraction stick pattern in this record (Cu Kα).

Crystal structure
```
Hf4Sc2Sb3C3
1.0
5.094 -2.941 0.000
5.094 2.941 0.000
-3.397 0.000 14.091
Hf Sc Sb C
8 4 6 6
Direct
0.023 0.199 0.084
0.143 0.305 0.416
0.199 0.023 0.584
0.305 0.143 0.916
0.695 0.857 0.084
0.801 0.977 0.416
0.857 0.695 0.584
0.977 0.801 0.916
0.366 0.529 0.087
0.471 0.634 0.413
0.529 0.366 0.587
0.634 0.471 0.913
0.081 0.919 0.250
0.250 0.415 0.749
0.415 0.250 0.249
0.585 0.750 0.751
0.750 0.585 0.251
0.919 0.081 0.750
0.000 0.500 0.000
0.158 0.671 0.500
0.329 0.842 0.000
0.500 0.000 0.500
0.671 0.158 0.000
0.842 0.329 0.500
```

Most intense lines, 2θ = 10–90°, in order of rising 2θ:
2θ = 30.4°, I = 23
2θ = 36.0°, I = 100
2θ = 38.3°, I = 19
2θ = 54.0°, I = 22
2θ = 66.6°, I = 16